Input:
<<<
Diffraction record for Ca3NiN3. The powder diffractogram is calculated, not measured: it uses a structure optimized by DFT (GGA-PBE) and a wavelength of 1.5418 Å.

Crystal structure
```
Ca3NiN3
1.0
7.140 0.000 0.000
-3.570 6.183 0.000
0.000 0.000 5.009
Ca Ni N
6 2 6
Direct
0.082 0.361 0.250
0.279 0.918 0.250
0.361 0.279 0.750
0.639 0.721 0.250
0.721 0.082 0.750
0.918 0.639 0.750
0.333 0.667 0.750
0.667 0.333 0.250
0.098 0.400 0.750
0.302 0.902 0.750
0.400 0.302 0.250
0.600 0.698 0.750
0.698 0.098 0.250
0.902 0.600 0.250
```

Principal peaks in the range 2θ = 10–80°, in order of rising 2θ:
2theta  Rel. int.
14.32  52
22.85  44
30.75  47
34.08  100
35.85  76
38.52  50
42.69  31
43.93  42
53.64  33
57.95  34
>>>

Work order:
It remains to start at the top of the listing further above and print each line, ending with the one that has "42.69".

Done:
Diffraction record for Ca3NiN3. The powder diffractogram is calculated, not measured: it uses a structure optimized by DFT (GGA-PBE) and a wavelength of 1.5418 Å.

Crystal structure
```
Ca3NiN3
1.0
7.140 0.000 0.000
-3.570 6.183 0.000
0.000 0.000 5.009
Ca Ni N
6 2 6
Direct
0.082 0.361 0.250
0.279 0.918 0.250
0.361 0.279 0.750
0.639 0.721 0.250
0.721 0.082 0.750
0.918 0.639 0.750
0.333 0.667 0.750
0.667 0.333 0.250
0.098 0.400 0.750
0.302 0.902 0.750
0.400 0.302 0.250
0.600 0.698 0.750
0.698 0.098 0.250
0.902 0.600 0.250
```

Principal peaks in the range 2θ = 10–80°, in order of rising 2θ:
2theta  Rel. int.
14.32  52
22.85  44
30.75  47
34.08  100
35.85  76
38.52  50
42.69  31